I’m finding that I don’t have much to whine about these days. While I’m thrilled to be in this place of peace, I’m not sure it’s doing much for Whiny Wednesday. I’m concerned that I’m not touching on the topics that might be at the forefront of your lives right now.
So, Kathleen gave me a great idea: Why not put a call out for guest whines?
If you have a topic you’d like to voice or a conversation you’d like to start, drop me a line. Just send me a couple of sentences with your whine and I’ll turn it into a guest post. Let me know too if you’d like to include your first name, a pseudonym, or be anonymous.
As for this week’s whines, feel free to unleash in the comments below.
Kathleen Guthrie Woods says
In no particular order:
* I am struggling with needing to forgive someone while holding her accountable for her actions.
* I wish I were better at standing up for myself in the moment.
* I am so over keeping up with the laundry, but the last time I allowed someone else to do it, she ran my good bras through the dryer.
* I feel like my body is betraying me.
Allison says
I just had a conversation with a coworker that started with “have you considered adopting twin babies” like she had a pregnancy to tell me about. I have never discussed my fertility or lack thereof or anything that indicated I wanted to adopt. I was talking about my dog.
Also, I still haven’t figured out how to make friends with people my own age (40s)that have children. I often feel disposable, or ok to invite to things when it suits them. I’m a thoughtful, carring person that deserves better.
bubli says
1. Trying to cope with the round of new births in our family
2. Starting graduate school, looking for a new job, finding a new hobby (scuba diving) in order to start life fresh is a lot of work. While distracting, it doesn’t really fill the hole of being childless
3. Elder care for my dad while worrying who will do this for me in the future
4. being surprised when feelings of loss come over me
5. The need to go shopping for new clothes and trying to find something I feel good in vs. something I think screams “infertile and poor sense of style.”
Sass says
Too many work pregnancies
Feeling this happened because I am not worthy of being a mother
Hating my first husband for wasting my fertile years
Fearing the quiet we will have for years
Sherry says
1. The constant struggle of feeling my life is imperfect because of not having children.
2. The constant fear of what will happen as my husband and I age.
-- Unrelated to this piece: materials data --
┌──
Below is crystalline SmNi2Ge2 at its relaxed geometry, with properties calculated at the r2SCAN level.

Calculated formation energy (eV/atom): -0.723
SG: No. 139
Size of the total moment (μB per atom): 0.00

a = 4.094 Å, b = 4.094 Å, c = 5.668 Å
α = 111.17°, β = 111.17°, γ = 90.00°
Element x y z (fractional)
Ni  0.750  0.250  0.500
Ge  0.632  0.632  0.264
Sm  0.000  0.000  0.000
Ge  0.368  0.368  0.736
Ni  0.250  0.750  0.500
└──
-- End of the materials data --
3. The jealously when seeing friends go through the milestones of being parents and grandparents.
4. The anger of knowing that there are many, many people who should never be able to have children.
5. The pity from other people.
Lisa Manterfield says
Thanks for excellent whine ideas. Coming soon. 🙂